21 years, 6 months ago
21 years, 6 months ago
Now, I am not insulting Toygeek, but look at that statement very closely. That is the statement that seems very common on this board, and the translation of it is this:
I will believe I everything I read until someone proves it wrong
21 years, 6 months ago
Now, I am not insulting Toygeek, but look at that statement very closely. That is the statement that seems very common on this board, and the translation of it is this:
I will believe I everything I read until someone proves it wrong
Well, you did insult me. Did you read the rest of my post? I choose to believe that he had legal reason to remove the posts because I have personally been in a similar situation.
21 years, 6 months ago
[Inserted here: calculated crystals]
'''
Structure and theoretical powder XRD pattern of O3F (a PBE-relaxed structure; λ = 1.5418 Å (Cu Kα)).

```
O3F
1.0
4.6752 0.0000 0.0000
2.2997 4.3288 0.0000
1.2355 1.7253 5.7515
O F
6 2
Direct
0.0080 0.2733 0.2137
0.1615 0.4218 0.1945
0.4171 0.9287 0.0132
0.5829 0.0713 0.9868
0.8385 0.5782 0.8055
0.9920 0.7267 0.7863
0.4697 0.2133 0.4889
0.5303 0.7867 0.5111
```

The 10 most intense peaks (10° ≤ 2θ ≤ 90°), in order of falling intensity:
Position (°2θ)	Rel. int.
22.87	100
37.23	81
37.97	38
27.22	35
39.05	32
29.97	32
22.55	31
41.86	26
32.39	20
46.08	19

***

Structure and theoretical powder XRD pattern of O2F13 (a PBE-relaxed structure; λ = 1.5418 Å (Cu Kα)).

```
O2F13
1.0
2.8276 1.6325 8.4701
-2.8276 1.6325 8.4701
0.0000 -3.2651 8.4701
O F
2 13
Direct
0.2091 0.2091 0.2091
0.7909 0.7909 0.7909
0.0000 0.0000 0.0000
0.0705 0.0705 0.5310
0.0705 0.5310 0.0705
0.2481 0.2481 0.5887
0.2481 0.5887 0.2481
0.4113 0.7519 0.7519
0.4690 0.9295 0.9295
0.5310 0.0705 0.0705
0.5887 0.2481 0.2481
0.7519 0.4113 0.7519
0.7519 0.7519 0.4113
0.9295 0.4690 0.9295
0.9295 0.9295 0.4690
```

The 10 most intense peaks (10° ≤ 2θ ≤ 90°), in order of falling intensity:
Position (°2θ)	Rel. int.
25.25	100
30.66	100
49.36	57
10.44	55
31.69	54
19.42	52
33.63	51
36.88	51
46.85	49
44.64	30

***

Structure and theoretical powder XRD pattern of OsOF5 (a PBE-relaxed structure; λ = 1.5418 Å (Cu Kα)).

```
OsOF5
1.0
9.7221 0.0000 0.0000
0.0000 5.1863 0.0000
0.0000 0.0000 8.9095
Os O F
4 4 20
Direct
0.1276 0.0813 0.0000
0.3724 0.5813 0.5000
0.6276 0.4187 0.0000
0.8724 0.9187 0.5000
0.2254 0.9496 0.8625
0.2746 0.4496 0.3625
0.7254 0.5504 0.8625
0.7746 0.0504 0.3625
0.0042 0.8027 0.0122
0.0057 0.2514 0.8693
0.0185 0.2271 0.1556
0.2308 0.3875 0.0148
0.2311 0.9397 0.1585
0.2689 0.4397 0.6585
0.2692 0.8875 0.5148
0.4815 0.7271 0.6556
0.4943 0.7514 0.3693
0.4958 0.3027 0.5122
0.5042 0.6973 0.0122
0.5057 0.2486 0.8693
0.5185 0.2729 0.1556
0.7308 0.1125 0.0148
0.7311 0.5603 0.1585
0.7689 0.0603 0.6585
0.7692 0.6125 0.5148
0.9815 0.7729 0.6556
0.9943 0.7486 0.3693
0.9958 0.1973 0.5122
```

The 10 most intense peaks (10° ≤ 2θ ≤ 90°), in order of falling intensity:
Position (°2θ)	Rel. int.
20.82	100
21.83	66
19.93	58
19.40	46
27.95	32
19.81	29
35.42	20
42.34	16
34.14	16
44.94	15

***

Structure and theoretical powder XRD pattern of OsO2F4 (a PBE-relaxed structure; λ = 1.5418 Å (Cu Kα)).

```
OsO2F4
1.0
9.7044 0.0000 0.0000
-4.8522 8.4043 0.0000
0.0000 0.0000 11.1385
Os O F
6 12 24
Direct
0.0784 0.5741 0.0000
0.4259 0.5043 0.3333
0.4957 0.9216 0.6667
0.5043 0.0784 0.1667
0.5741 0.4957 0.8333
0.9216 0.4259 0.5000
0.1058 0.6662 0.1364
0.1135 0.5794 0.5134
0.3338 0.4396 0.4698
0.4206 0.5341 0.8468
0.4396 0.1058 0.3031
0.4659 0.8865 0.1801
0.5341 0.1135 0.6801
0.5604 0.8942 0.8031
0.5794 0.4659 0.3468
0.6662 0.5604 0.9698
0.8865 0.4206 0.0134
0.8942 0.3338 0.6364
0.0215 0.7118 0.9245
0.0889 0.5082 0.8391
0.1649 0.4475 0.0467
0.2701 0.5651 0.2921
0.2826 0.8351 0.7133
0.2882 0.3097 0.2578
'''
Ghostbusters.tkFair enough. I never said that there weren't points to be made for the “against”…I just think that until the whole story is heard, passing judgement is a bad idea. Though I am tempted to argue the point of things being closed/deleted to his benefit…if there's one thing that threads like this prove, it's that the behavior has NOT benefited Chad. Which is another part of why I give him benefit of the doubt, actually…who in their right mind would WANT to put up with this crap over and over?
Remember, this is all hypothetical, but show me some evidence to the contrary.
21 years, 6 months ago
I'm not saying that it's definitely not legal reasons (some of the time, anyways), but I have a serious problem with a message board that has 8,000 members and after three months worth of posts are deleted with no explanation (for about another two months), only about ten of said members question it.
I have a problem with me being banned for pointing out that Chad broke his “only one post per person” rule.
I have a problem with someone handing over a message board to someone, then yanking it back when they don't like what's going on (even though the other thousand members think it's for the best).
I have a problem when a message board is plagued with “legal reasons” for locking posts, deleting posts, and banning members. GBHQ doesn't have this problem, and there's a lot of traffic over there.
I have a problem when said “legal reasons” always, always, always seem to be to the benefit of the person claiming them.
And I certainly have a problem with someone who continually makes promises but never keeps them.
You might think that I'm a “Chad Hater” but go look at any of our old convos on GBN, and you'll see that I tried to help him out numerous times. I have gone above and beyond, trying to just get him to show one tiny shred of evidence that any of what he is saying is true. I have asked him, both in these forums and instant messages, why back and TexasGB who were known to be threatening users, were immediately put in charge when he came back. Chad has avoided the issue at all costs. He is a master of avoiding the issue.
And the mod voting solution is simple. Make a poll with a list of all the nominees. Let it run for a week, then de-mod the old mods and give the new ones their rightful place. If Chad can't come up with that on his own, then I think we have even more serious problems here. But the fact that he claims that he can't find a solution is just more cause for alarm. How long did he have to come up with what I did in five seconds?
The fact is, when TexasGB was de-adminned, Chad came and took the board back. Now he's putting off mod voting. Perhaps he doesn't like the idea of certain friends of his not winning?
Remember, this is all hypothetical, but show me some evidence to the contrary.
That's a good example Toygeek, but the problem here is that it happens at every turn. For example;
-Sony threatens a cease and desist because they don't like new mods
-Sony threatens a cease and desist because we are talking about the comic
-Sony threatens a cease and desist because someone on the message board doesn't like an artist
-Sony threatens a cease and desist because the comes under new management
I cannot believe this. They are lies. We have not seen one shred of evidence. All we get is messages deleted with “legal reasons” cited as the cause. Yet somehow, they are always posts that disagree with Chad's viewpoint.
We have people complaining that mods are abusing their powers. Nothing is done.
We have people spamming the boards. Nothing is done.
We have people sending virii to members emails. Nothing is done.
We have people disagreeing with Chad. They are banned.
Bad Guest
Anyway…Riddle….I'm Sony who else….Chad thinks we are friends buy everyone here at Sony really dislikes him…Sorry I can't log on under a name but “legal reasons” stop me from doing so….HAAAAAAAAAAAAAAAAAA
21 years, 6 months ago
21 years, 6 months ago
21 years, 6 months ago
21 years, 6 months ago
21 years, 6 months ago